Given:
- - -
[1]
ORCA calculation (ωB97M-V with the def2-TZVPD basis set) on a 13-piece molecular cluster, C34H100N6O16 overall in a non-equilibrium geometry.

The geometry in XYZ format:
```
156
Properties=species:S:1:pos:R:3:mulliken_charge:R:1
C -18.001 -20.487 4.340 0.2853
C -19.298 -20.617 5.230 0.6438
O -19.464 -21.960 5.711 -0.4186
O -16.835 -20.377 5.143 0.7422
H -18.106 -19.552 3.788 -0.8473
H -18.044 -21.340 3.663 0.2487
H -20.192 -20.385 4.651 -0.3282
H -19.313 -19.911 6.060 -0.4058
H -20.404 -22.122 5.822 0.3957
H -16.648 -21.283 5.399 -0.2394
C -12.759 -21.517 8.557 -0.7582
C -13.658 -21.693 7.344 0.0743
O -14.984 -21.489 7.581 -0.1891
O -11.401 -21.588 8.264 -0.5253
H -13.106 -22.245 9.291 0.3809
H -12.999 -20.539 8.976 0.2141
H -13.586 -22.734 7.027 0.3921
H -13.323 -21.037 6.540 0.0307
H -15.397 -22.275 7.216 -0.0454
H -11.056 -22.450 8.508 0.3313
C -19.020 -15.737 6.217 0.1001
C -18.280 -15.748 4.851 -0.3878
O -16.999 -15.268 5.108 -0.7363
O -18.578 -16.601 7.223 -0.3899
H -20.023 -16.112 6.015 -0.3031
H -19.215 -14.722 6.563 0.4898
H -18.736 -14.964 4.246 0.4619
H -18.348 -16.646 4.237 0.0006
H -16.467 -15.998 5.433 0.3822
H -19.118 -16.433 7.999 0.1595
C -21.313 -17.643 2.323 -0.4776
O -20.660 -18.942 2.212 -0.1774
H -22.270 -17.664 1.802 0.3456
H -21.361 -17.194 3.315 0.0905
H -20.643 -16.920 1.858 0.1751
H -21.274 -19.440 1.669 0.1131
C -21.877 -22.802 7.704 -0.6537
O -21.895 -22.583 6.325 -0.5296
H -22.142 -23.837 7.918 0.3163
H -20.860 -22.673 8.075 0.1681
H -22.554 -22.098 8.188 0.2986
H -22.820 -22.717 6.105 0.2809
C -15.364 -22.778 2.464 0.1290
O -15.741 -23.755 1.521 -0.5517
H -14.585 -22.097 2.120 -0.0822
H -16.124 -22.030 2.691 -0.0222
H -14.903 -23.210 3.352 0.2237
H -16.202 -24.429 2.026 0.3215
C -17.470 -23.745 7.032 -0.5830
O -16.240 -23.845 6.401 -0.5633
H -17.647 -22.728 7.381 0.0849
H -18.309 -24.080 6.422 0.3378
H -17.393 -24.417 7.887 0.4001
H -16.177 -24.737 6.052 0.2972
C -16.671 -14.355 -0.050 -1.5961
C -16.796 -14.930 1.371 0.9462
C -16.040 -16.297 1.472 0.1011
O -16.550 -17.290 0.566 -0.4461
C -17.791 -17.866 0.963 -0.2604
N -16.469 -13.986 2.390 -0.6493
H -17.139 -15.090 -0.705 0.3043
H -15.625 -14.244 -0.337 0.3688
H -17.121 -13.364 -0.087 0.4508
H -17.836 -15.175 1.588 -0.0313
H -16.046 -16.695 2.486 -0.4580
H -14.984 -16.132 1.260 0.4093
H -18.267 -18.599 0.312 0.3822
H -18.618 -17.163 1.068 0.1103
H -17.693 -18.319 1.950 0.0339
H -16.360 -14.608 3.179 0.1040
H -15.568 -13.607 2.137 0.3310
C -25.819 -15.945 6.635 -1.4383
C -24.354 -15.501 6.724 0.4116
C -23.282 -16.476 6.222 -0.0710
O -23.250 -17.536 7.172 -0.4475
C -22.483 -18.585 6.620 -0.1191
N -24.240 -14.301 5.952 -0.7416
H -26.115 -16.788 7.260 0.3019
H -26.028 -16.114 5.578 0.3240
H -26.516 -15.171 6.958 0.4253
H -24.057 -15.251 7.743 0.2669
H -22.295 -16.018 6.296 -0.0010
H -23.504 -16.822 5.213 0.1996
H -21.792 -19.002 7.353 0.0296
H -21.883 -18.290 5.759 0.0481
H -23.147 -19.375 6.270 0.3136
H -24.595 -14.317 5.006 0.2475
H -24.907 -13.640 6.324 0.2747
C -17.471 -18.027 12.502 -1.5217
C -18.446 -17.969 11.241 1.5705
C -19.037 -19.365 10.924 -0.8108
O -18.023 -20.109 10.156 -0.4535
C -18.336 -20.199 8.796 0.2855
N -19.530 -17.052 11.678 -0.7476
H -17.978 -18.488 13.350 0.3557
H -17.056 -17.050 12.747 0.4523
H -16.639 -18.654 12.180 0.3739
H -17.967 -17.603 10.332 -0.8052
H -19.984 -19.215 10.405 0.3550
H -19.254 -19.891 11.853 0.3918
H -18.333 -19.211 8.337 0.0482
H -19.317 -20.620 8.573 0.3436
H -17.542 -20.794 8.345 -0.3486
H -19.192 -16.302 12.263 0.2892
H -20.063 -17.605 12.334 0.2761
C -22.226 -21.956 2.281 -1.3386
C -23.237 -21.238 1.376 0.3476
C -24.100 -20.274 2.199 -0.2384
O -24.862 -20.949 3.191 -0.3397
C -25.925 -20.238 3.794 -0.7509
N -22.420 -20.450 0.428 -0.6355
H -22.688 -22.659 2.974 0.3655
H -21.555 -21.311 2.850 0.1158
H -21.545 -22.610 1.736 0.4614
H -23.951 -21.842 0.817 0.4810
H -24.618 -19.707 1.426 0.3284
H -23.507 -19.519 2.716 -0.0741
H -26.784 -20.257 3.123 0.3360
H -25.616 -19.213 3.998 0.2362
- - -

What to do:
Could you filter the data further up: keep the lines with the word "mulliken_charge"?

Done:
Properties=species:S:1:pos:R:3:mulliken_charge:R:1